Pain therapy


  • Profilbild von Priv.-Doz. Dr. med. Peter Steffen

== Data records, kept here for reference ==
____________
Record 1
Molecular formula: C56H82CsGe2IN14OPS
Method: DFT, ωB97M-V/def2-TZVPD

```
159
Properties=species:S:1:pos:R:3:forces:R:3
Cs -0.2426 1.3781 0.3633 -0.89 0.57 -0.36
C -5.7450 -1.4761 -2.6779 0.05 0.03 0.01
C -4.7970 -0.4731 -2.0170 0.02 -0.05 0.08
Ge -3.9275 -1.2555 -0.4211 -0.05 -0.01 0.04
C -2.4223 -2.3842 -1.0191 -0.02 0.00 -0.01
C -2.7796 -3.8610 -1.1858 0.04 0.05 0.00
C -5.3233 -2.1953 0.6285 0.01 0.00 -0.04
C -5.3975 -1.5795 1.8254 0.14 0.00 0.05
Ge -3.8355 -0.3250 1.8314 -0.01 0.25 -0.10
C -4.0418 1.5979 2.2317 -0.01 -0.16 -0.10
C -4.0734 1.9828 3.7096 0.01 -0.02 -0.03
C -2.3512 -1.1129 2.8711 -0.06 0.02 -0.03
C -2.7038 -1.5785 4.2845 0.02 0.02 -0.04
C -6.3673 -1.8779 2.9030 -0.03 0.04 0.07
C -6.2576 -1.2271 4.1320 0.00 -0.04 -0.05
C -7.1457 -1.4781 5.1679 -0.01 0.00 0.01
C -8.1750 -2.3899 4.9938 0.01 0.00 -0.02
C -8.3046 -3.0436 3.7740 -0.02 -0.02 0.00
C -7.4153 -2.7894 2.7442 0.01 0.00 -0.03
H -6.1833 -1.0708 -3.5937 -0.01 0.00 0.00
H -6.5649 -1.7444 -2.0089 0.00 -0.01 0.00
H -5.2262 -2.4004 -2.9445 -0.01 -0.01 -0.01
H -5.3317 0.4362 -1.7432 -0.03 -0.03 0.01
H -4.0061 -0.1723 -2.7050 0.02 0.02 0.01
H -1.5961 -2.2746 -0.3113 -0.01 -0.02 0.01
H -2.0565 -1.9770 -1.9652 0.00 0.01 0.00
H -3.1068 -4.2996 -0.2406 0.00 -0.01 0.00
H -1.9153 -4.4293 -1.5423 -0.01 -0.02 0.01
H -3.5908 -3.9980 -1.9053 0.00 -0.02 0.00
H -5.9907 -3.0126 0.3502 0.02 0.01 0.00
H -4.9277 1.9705 1.7097 -0.02 -0.03 0.04
H -3.1792 2.0904 1.7653 -0.03 0.00 0.00
H -4.9554 1.5933 4.2226 -0.01 0.01 0.01
H -4.0770 3.0691 3.8195 0.01 0.00 0.01
H -3.1877 1.6126 4.2296 0.01 0.00 0.01
H -1.5275 -0.3928 2.9007 0.01 -0.02 -0.01
H -1.9882 -1.9619 2.2871 -0.04 0.02 0.02
H -3.0020 -0.7448 4.9238 -0.01 0.00 0.01
H -1.8463 -2.0637 4.7578 0.00 0.01 0.01
H -3.5270 -2.2956 4.2732 0.00 -0.01 0.01
H -5.4542 -0.5159 4.2750 0.01 0.02 0.02
H -7.0317 -0.9586 6.1111 0.00 0.00 0.00
H -8.8729 -2.5892 5.7972 0.00 0.00 0.00
H -9.1078 -3.7550 3.6255 0.00 0.00 0.00
H -7.5364 -3.3033 1.7989 0.00 0.00 0.00
C 4.5436 2.3237 -3.3128 -0.01 0.02 0.00
N 3.1557 1.9067 -3.2592 0.14 0.03 0.16
C 2.2854 2.0194 -2.2449 -0.11 -0.02 -0.20
N 1.1148 1.5347 -2.6029 -0.10 -0.07 0.02
C 1.3381 1.1051 -3.8679 0.05 0.01 0.02
N 2.5588 1.3126 -4.3142 -0.03 0.02 -0.04
C 4.7416 3.7646 -2.8928 -0.04 -0.06 -0.03
C 5.9686 4.1742 -2.3861 -0.02 0.02 0.00
C 6.1697 5.4993 -2.0221 0.04 -0.02 0.00
C 5.1458 6.4235 -2.1351 -0.06 0.06 0.01
C 3.9104 6.0155 -2.6282 0.05 -0.14 -0.01
C 3.7197 4.6936 -3.0180 -0.02 0.06 0.00
C 2.7912 6.9489 -2.6991 -0.14 0.30 0.03
N 2.7595 8.2162 -2.4548 0.14 -0.17 -0.02
N 1.4450 8.6171 -2.6224 -0.20 -0.07 -0.04
C 0.7768 7.5606 -2.9521 0.26 0.18 0.07
O 1.5721 6.4698 -3.0348 -0.03 -0.16 -0.01
C -0.6499 7.4054 -3.2060 -0.09 -0.08 -0.03
C -1.5201 8.4643 -2.9668 0.05 0.02 0.02
C -2.8789 8.2853 -3.1515 -0.03 0.01 0.00
C -3.3745 7.0586 -3.5740 0.03 0.00 0.01
C -2.5093 6.0024 -3.8221 -0.04 -0.03 -0.03
C -3.0375 4.6556 -4.2499 -0.01 0.03 0.02
N -3.1903 3.7229 -3.1487 0.05 0.03 0.01
____________

    Priv.-Doz. Dr. med. Peter Steffen

    Sektionsleiter Schmerztherapie, Oberarzt, Facharzt für Anästhesiologie, Zusatzbezeichnungen: Spezielle Schmerztherapie, Palliativmedizin, Notfallmedizin

Today, modern pain therapy is a natural part of comprehensive cancer treatment. It is used both for pain caused by a tumour or its metastases and for pain resulting from cancer treatment, such as pain during surgery.

Contrary to popular belief, however, pain is rarely the first warning sign of a tumour. In less than a third of people diagnosed with cancer, pain is the key indicator.

However, as the disease progresses, pain very often becomes a problem: it then restricts mobility, impairs well-being and worsens quality of life. It is therefore undisputed today that, in addition to causal tumour treatment, good, reliable and continuously monitored pain therapy is of great importance in maintaining patients' well-being and quality of life.

Regular pain assessment is an important prerequisite for the successful treatment of pain. This involves gathering information about the symptoms. Where does the pain occur, how severe is it, how does it progress over time, do attacks of pain occur in addition to persistent pain? It has also proved useful to record the intensity of the pain on a so-called analogue scale. A simple analogue scale is a word scale with "no pain" "mild pain" "moderate pain" "severe pain" and "strongest pain imaginable". A commonly used scale is the 10-point pain scale from 0-10, where 0 = no pain and 10 = the strongest pain imaginable. Although not all patients find this form of pain measurement easy, it has long been recognised that the patient's perception of pain is the most sensible and reliable basis for guiding pain treatment. Relatives, carers and doctors often underestimate severe pain.

Entry 1:
{
  "formula": "C30H39N5ORu",
  "method": "wB97M-V/def2-TZVPD",
  "elements": ["Ru", "N", "N", "C", "C", "C", "C", "H", "H", "H", "C", "C", "H", "H", "H", "C", "C", "H", "H", "H", "C", "H", "H", "H", "C", "H", "H", "H", "C", "H", "C", "H", "C", "H", "C", "H", "C", "C", "H", "C", "C", "H", "C", "H", "N", "C", "C", "C", "H", "C", "C", "H", "H", "H", "C", "H", "C", "C", "H", "H", "H", "C", "H", "H", "H", "C", "N", "C", "N", "O", "H", "H", "H", "H", "H", "H"],
  "positions_angstrom": [[-0.469, -0.557, -1.016], [0.289, 4.374, -0.672], [0.766, 1.721, -1.649], [-0.880, -2.641, -0.659], [-2.118, -1.943, -0.890], [-2.252, -0.924, 0.120], [-3.378, 0.040, 0.217], [-3.266, 0.841, -0.527], [-3.413, 0.513, 1.203], [-4.331, -0.463, 0.013], [-1.081, -0.974, 0.966], [-0.745, -0.028, 2.060], [-1.643, 0.282, 2.599], [-0.291, 0.885, 1.650], [-0.022, -0.482, 2.742], [-0.246, -2.054, 0.494], [1.047, -2.495, 1.082], [1.152, -2.106, 2.099], [1.896, -2.128, 0.488], [1.108, -3.590, 1.101], [-3.076, -2.172, -2.006], [-4.098, -2.270, -1.629], [-2.809, -3.071, -2.564], [-3.064, -1.326, -2.703], [-0.324, -3.767, -1.456], [0.538, -3.437, -2.051], [-1.081, -4.158, -2.141], [0.022, -4.573, -0.800], [0.192, 5.513, -0.004], [0.929, 6.291, -0.233], [-0.812, 5.753, 0.952], [-0.865, 6.724, 1.442], [-1.720, 4.729, 1.229], [-2.533, 4.875, 1.939], [-1.569, 3.503, 0.592], [-2.180, 2.638, 0.841], [-0.550, 3.332, -0.386], [-0.423, 2.040, -1.042], [-1.322, 1.582, -1.493], [0.993, 0.361, -1.825], [1.970, 2.419, -1.828], [1.996, 3.484, -1.721], [2.927, 1.499, -2.061], [3.981, 1.609, -2.220], [2.330, 0.229, -2.064], [3.012, -1.030, -1.993], [2.657, -2.028, -2.906], [3.310, -3.262, -2.813], [3.073, -4.044, -3.540], [4.277, -3.501, -1.829], [4.984, -4.822, -1.749], [4.669, -5.393, -0.863], [6.069, -4.676, -1.675], [4.771, -5.424, -2.638], [4.581, -2.492, -0.916], [5.332, -2.668, -0.142], [3.939, -1.249, -0.965], [4.212, -0.227, 0.090], [4.601, 0.713, -0.319], [4.973, -0.629, 0.771], [3.324, 0.001, 0.701], [1.653, -1.767, -3.985], [1.783, -0.775, -4.435], [0.617, -1.842, -3.618], [1.769, -2.515, -4.779], [-5.610, 1.763, 4.577], [-4.438, 2.548, 4.867], [-3.370, 2.627, 4.022], [-2.402, 3.524, 4.451], [-3.274, 2.005, 2.956], [-5.433, 1.208, 3.652], [-6.495, 2.401, 4.457], [-5.810, 1.058, 5.393], [-4.447, 3.178, 5.660], [-1.528, 3.482, 3.951], [-2.375, 3.758, 5.434]],
Back to the piece:

It is important for patients to know that the doctors treating them cannot automatically draw conclusions about the pain on the basis of medical examinations such as X-rays or computer tomographies. A tumour does not necessarily hurt wherever it is found. Rather, the patient needs to tell the doctor whether there is pain and how severe it is. Patients should also not be afraid that their doctors might be distracted from the important goal of successful cancer treatment by a complaint about pain.

The components of successful treatment of pain in tumour diseases include tumour-influencing treatments such as radiotherapy. This is particularly important for bone pain, one of the most common causes of cancer-related pain. Chemotherapy and surgery can also be useful and important for treating pain. On the other hand, pain treatment is primarily carried out with medication, which is administered according to schedule and in sufficient doses according to the World Health Organisation's (WHO) step-by-step scheme.

Additional pain treatment options include physiotherapy and other forms of physical therapy, so-called counter-stimulation procedures such as the application of cold and heat and, in individual cases, neurosurgical pain treatment procedures such as pain pumps. Psychological treatment methods such as relaxation exercises can also be a valuable aid in controlling pain.

Due to its outstanding importance, the World Health Organisation's (WHO) stage scheme should be presented in more detail. It was published almost 20 years ago based on many years of experience by experts, particularly in English palliative medicine. In the meantime, it has proved to be a very effective and successful treatment rule for the vast majority of those affected.

Medication is administered in 3 stages according to the patient's pain. For mild to moderately severe pain, simple painkillers are used first, which include drugs with an aspirin-like effect such as paracetamol or rheumatism painkillers. It is important to know that these medications should generally be taken at fixed intervals according to their duration of action in order to achieve an even level of active ingredients in the body.

If the pain becomes more severe and a simple painkiller is no longer sufficient, a so-called weak morphine-like medication is added in the second stage. In Germany, tramadol or tilidine preparations, for example, are very common medications. Here too, these drugs should be taken at regular intervals according to their duration of action.

If the level 2 medication is no longer sufficient, it is replaced with a strong morphine. The strong morphines include morphine itself, for example, which is still very important in cancer pain therapy. However, there are also other strong morphines that are suitable for the treatment of severe tumour-related pain. These include, for example, the frequently used pain patches. It is important to know that the necessary dose of morphine can be different for each patient. It must therefore be found individually for each patient and often adjusted over time. If attacks of pain occur in addition to the basic pain, it is possible to take additional doses of morphine. As morphines unfortunately also have undesirable effects, additional medication must be taken, for example for nausea and constipation. In addition to the active ingredients mentioned, it may be necessary to take other medications for nerve pain. These include - which may initially surprise some patients - so-called anti-epileptic drugs and antidepressants, i.e. drugs that were originally developed for the treatment of seizures and depression. These drugs must also be taken at regular intervals according to a fixed schedule. The aim of pain treatment is to reduce the pain to a tolerable level. Complete freedom from pain can sometimes be achieved, but not in all cases. However, what is more important for patients is often the experience of getting their pain under control again and being able to do something themselves if the pain intensifies again or if pain attacks occur.

As a rule, good pain relief improves the patient's sense of well-being. Those affected can become more active again, their night's sleep becomes more restful and their mood improves. Many people who are initially reluctant to take morphine regularly are able to overcome these fears once they have experienced successful treatment. Unfortunately, the common concern that prolonged use of morphine preparations could lead to addiction is still unfounded. There is also no real cause for concern that the strong morphines could quickly lose their effect or be harmful in the fight against cancer. Nevertheless, even today there are still patients for whom such fears are the reason why they would rather endure pain than take advantage of effective pain treatment.

In this respect, patients (and doctors!) still need to be encouraged to recognise the value and necessity of good pain therapy as part of comprehensive cancer treatment.

Contact pain outpatient clinic

Outpatient registration

  • You need a referral from your GP or treating specialist.
  • You can register by telephone on 0731 500-60033

Monday - Thursday

09:00 - 14:00


09:00 - 12:00

  • You will receive a detailed questionnaire from us. This must be completed by you and returned to us.
  • Together with the completed questionnaire, please also send us any important previous findings
  • Once we have received your documents, you will be placed on our waiting list and notified of an appointment.

Waiting times for chronic pain are currently around three to five months. For patients with tumour pain or certain acute pain disorders (e.g. trigeminal neuralgia, CRPS, shingles, cluster headaches), however, waiting times are minimal.

Patients who register for the special consultation for tumour-related pain (see flyer) are seen as quickly as possible. The consultation takes place on Tuesdays and by appointment. Please bring the results of your tumour disease and other previous illnesses with you to these appointments, unless they were collected at Ulm University Hospital. We also ask you to bring a current medication schedule.

The outpatient consultations take place in the outpatient pain clinic of the Pain Therapy Section. You will find this in the surgical clinic in the university outpatient clinic area.